Introduction (p. 186) Already looked at the bishops duty of sanctifying & governing as priests & kings Now look at their duty to teach authentically & authoritatively as prophets Right and duty to interpret the Word of God as both Scripture & Tradition Ensure that the Church remains faithful to Christ through the apostles Helps members to grow in understanding of the faith & confidence in that faith CCC is a tremendous resource for faith development Church also has the gifts of indefectibility & infallibility (under certain circumstances) Truths are ordered in an hierarchical fashion—centrality Challenge to modern culture—especially relativism 3 Articles (A. 49) -- The Magisterium (pp ) (A. 50) -- Indefectibility and Infallibility (pp ) (A. 51) -- The Magisterium and Truth (pp )
Article 49: The Magisterium (pp ) What is the Magisterium? Bishops in communion with the Pope responsible for handing on the faith from the Apostles The official teaching authority of the Church Whose task is to preserve the truths of faith Preserved through Sacred Scripture and Sacred Tradition Catholics have the obligation to embrace and assent to the truth The Church transmits to all generations all that she is and believes through her doctrine, life and worship Doctrine vs. Dogma
Article 49: The Magisterium cont. (pp ) The truth is contained in Sacred Scripture & Sacred Tradition; this understanding grows through: Theological inquiry Pursues the profound understanding of revealed truths through time Contemplation and study Understanding of spiritual realities grows with contemplation and study Teaching of bishops (Extraordinary Magisterium) When all bishops in union with the Pope speak on matters of faith and morals it is without errors (infallibility) When the pope speaks alone under four criteria, he speak infallibly Faith and morals, to entire church, ex cathedra, intending to speak infallibly vs. Ordinary Magisterium
Article 49: The Magisterium cont. (pp ) What does the Magisterium Teach? Catechism of the Catholic Church – a tool the Magisterium uses Four Pillars of Catechism Pillar I: The Profession of Faith (concepts of the Creed) Pillar II: The Sacraments of Faith (salvation liturgically made present through sacraments) Pillar III: The Life of Faith (Lived goodness through moral choices; the ten Commandments) Pillar IV: The Prayer of the Believer (meaning and significance of prayer, especially the Lord’s Prayer)
**Unrelated to this page: records of crystals:**
<<<
No. 1
# Nd12InNi6, optimized geometry, DFT r²SCAN
data_Nd12InNi6
_cell_length_a 10.0286
_cell_length_b 10.0286
_cell_length_c 10.0286
_cell_angle_alpha 90.00
_cell_angle_beta 90.00
_cell_angle_gamma 90.00
_symmetry_space_group_name_H-M 'I m -3'
_symmetry_Int_Tables_number 204
_symmetry_space_group_name_Hall '-I 2 2 3'
loop_
_atom_site_label
_atom_site_type_symbol
_atom_site_fract_x
_atom_site_fract_y
_atom_site_fract_z
_atom_site_occupancy
Nd1 Nd 0.0000 0.3071 0.1865 1
In1 In 0.0000 0.0000 0.0000 1
Ni1 Ni 0.0000 0.1200 0.5000 1
# **Calculated density**: 7.2 Mg/m³
# **Calculated volume**: 26.5 Å³ per atom
# **Size of the total moment**: 0.00 Bohr magnetons per cell
# **Energy relative to the elements**: -5.3 eV per formula unit

=====

No. 2
# HfAl5Ni2, optimized geometry, DFT r²SCAN
data_HfAl5Ni2
_cell_length_a 3.9802
_cell_length_b 3.9802
_cell_length_c 14.3985
_cell_angle_alpha 90.00
_cell_angle_beta 90.00
_cell_angle_gamma 90.00
_symmetry_space_group_name_H-M 'I 4/m m m'
_symmetry_Int_Tables_number 139
_symmetry_space_group_name_Hall '-I 4 2'
loop_
_atom_site_label
_atom_site_type_symbol
_atom_site_fract_x
_atom_site_fract_y
_atom_site_fract_z
_atom_site_occupancy
Hf1 Hf 0.0000 0.0000 0.0000 1
Al1 Al 0.0000 0.0000 0.5000 1
Al2 Al 0.0000 0.5000 0.1474 1
Ni1 Ni 0.0000 0.0000 0.2401 1
# **Calculated density**: 6.3 Mg/m³
# **Calculated volume**: 14.3 Å³ per atom
# **Size of the total moment**: 0.00 Bohr magnetons per cell
# **Energy relative to the elements**: -4.7 eV per formula unit

=====

Number 1 is which compound? Nd12InNi6

=====

Which of these has the highest calculated volume? Nd12InNi6

=====

Among the records above, which one has the highest calculated volume? Nd12InNi6
>>>
Article 49: The Magisterium cont. (pp ) Changing Guidelines for Changing Circumstances Truth does not change Disciplines, Liturgy and Devotional Traditions can change Example: changed guidelines on fasting and abstinence Reflection on the 1966 Apostolic Constitution on Penance of Paul VI Fasting prior to receiving the Eucharist (midnight, 3 hours, 1 hour) Catholic Wisdom Pastoral Constitution on the Church in the Modern World (Gaudium et Spes) Humans experience of joys, hopes, griefs and anxieties are universal Shadow boxes pp. 188 & 189
Homework Read pp in the e-Book for discussion tomorrow (AA ) p.196; 1-2 Looking Ahead: Section 4, Part 3 Homework due Wednesday (p. 196; 1-6) Section 4, Part 3 Quiz Wednesday (pp ; AA )
VASP calculation (PBE+U) on a relaxed structure of Fe2C9O8F2. Values from VASP.

Geometry as Quantum ESPRESSO input:
```
&SYSTEM
  ibrav = 0, nat = 42, ntyp = 4
/
ATOMIC_SPECIES
F 19.00 F.upf
C 12.01 C.upf
O 16.00 O.upf
Fe 55.84 Fe.upf
ATOMIC_POSITIONS angstrom
F -4.6636 1.8841 10.0246
F -9.7937 -1.9641 1.4265
F -2.5886 2.4842 10.0061
F -7.7187 -1.3640 1.4081
C -2.6268 3.7711 7.0438
C -8.1147 -3.7284 6.4295
C -1.7232 0.0401 1.0931
C -9.6979 1.8006 8.2102
C -4.2676 4.2485 5.0032
C -3.3502 1.1384 7.0209
C -4.2369 -0.6869 1.1154
C -7.0157 -2.4587 4.3645
C -10.6591 0.4800 10.3396
C -9.0321 -0.6184 4.4118
C -8.1454 1.2070 10.3172
C -2.3430 2.3447 4.8368
C -5.3666 2.9788 7.0681
C -2.6844 -1.2805 3.2224
C -10.0393 -1.8246 6.5958
C -7.5008 -1.0905 6.5733
C -4.8815 1.6106 4.8594
C -9.7554 -3.2510 4.3889
O -11.9293 1.8749 4.7724
O -6.8282 -0.4830 7.2915
O -10.8473 -3.3592 3.9654
O -9.3042 0.3027 3.7662
O -1.4619 2.1866 4.1048
O -9.6477 1.5921 7.0738
O -6.0417 -1.9694 3.9227
O -0.4530 -1.3548 6.6602
O -6.3406 2.4895 7.5099
O -7.9073 3.0381 4.7367
O -2.7346 -1.0720 4.3589
O -3.0781 0.2174 7.6664
O -10.9204 -1.6665 7.3279
O -5.5541 1.0031 4.1411
O -1.5350 3.8793 7.4672
O -4.4750 -2.5180 6.6960
Fe -4.3919 4.7382 6.9503
Fe -8.6183 -2.0156 5.5050
Fe -3.7640 2.5356 5.9277
Fe -7.9904 -4.2181 4.4823
CELL_PARAMETERS angstrom
-11.3807 -3.2913 0.1011
0.7455 -2.3998 5.7923
-1.7471 6.2112 5.5393
```

Properties
Final energy (eV/atom): -7.03
Total magnetic moment (μB per formula unit): 0.0
DFT formation energy (eV/atom): -0.72

=====

[1]
Compound: Mg7Fe
Source: the Materials Project database
Functional: PBE
Structure: optimized geometry

Cell lengths 6.130, 6.130, 4.909 Å; angles 90.00, 90.00, 120.00 degrees
Positions (direct):
Mg 0.843 0.157 0.500
Mg 0.500 0.500 0.000
Mg 0.843 0.686 0.500
Mg 0.999 0.500 0.000
Mg 0.333 0.667 0.500
Mg 0.314 0.157 0.500
Mg 0.500 0.001 0.000
Fe 0.000 0.000 0.000

The energy of formation from the pure elements is 147.5 meV per atom. The value obtained for the calculated volume is 19.97 Å³/atom. Its total magnetization is 0.2995 μB/atom. As for the space group: P-6m2, No. 187.

[2]
Compound: Mg3Fe
Source: the Materials Project database
Functional: PBE
Structure: optimized geometry

Cell lengths 5.930, 5.930, 4.844 Å; angles 90.00, 90.00, 120.00 degrees
Positions (direct):
Fe 0.667 0.333 0.250
Fe 0.333 0.667 0.750
Mg 0.173 0.827 0.250
Mg 0.827 0.173 0.750
Mg 0.173 0.346 0.250
Mg 0.346 0.173 0.750
Mg 0.654 0.827 0.250
Mg 0.827 0.654 0.750

The energy of formation from the pure elements is 219.6 meV per atom. The value obtained for the calculated volume is 18.44 Å³/atom. Its total magnetization is 0.5376 μB/atom. As for the space group: P6_3/mmc, No. 194.

[3]
Compound: Mg15Fe
Source: the Materials Project database
Functional: PBE
Structure: optimized geometry

Cell lengths 6.305, 6.305, 9.940 Å; angles 90.00, 90.00, 120.00 degrees
Positions (direct):
Mg 0.681 0.841 0.266
Mg 0.995 0.497 0.500
Mg 0.667 0.333 0.753
Mg 0.159 0.841 0.734
Article 50: Indefectibility and Infallibility (pp ) Indefectibility The Church will remain uncorrupted and faithful to Christ’s teaching until the end of time Jesus made this promise to Peter and the Church (Vatican I and II) Indefectibility belongs to the Church, not any individual Spiritual and temporal realms A Church of Saints and Sinners (Shadow box) All men sin, even the Pope The early desert monks realized their sins, but trusted God’s grace to rise again
Article 50: Indefectibility and Infallibility cont. (pp ) Infallibility The Church is without defect (relationship), therefore it is without mistake regarding her teachings Infallibility is a gift of the Holy Spirit Two Types of Infallibility: Extraordinary Pope alone 4 criteria (pope; ex cathedra; intend; universal) Pope in union with bishops at an ecumenical council Ordinary (but still important)
Attached: materials data >
........
Density functional theory data (PBE) for a geometry-optimized Li3Cu3P2O8 structure.

* largest piezoelectric modulus: 6.32 C/m2
* energy relative to the lowest polymorph listed for this composition: 0.000 eV per atom
* symmetry: P1, No. 1
* magnetic moment: 0.000 μB per atom
* energy of formation from the pure elements: -2.077 eV per atom

Cell and atoms, written as POSCAR:
```
Li3Cu3P2O8
1.0
5.1209 0.0000 0.0000
0.0611 5.4579 0.0000
0.0802 0.2009 6.2311
O P Li Cu
8 2 3 3
Direct
0.5956 0.9091 0.4834
0.5896 0.2894 0.7084
0.1935 0.1869 0.4897
0.1062 0.1083 0.0142
0.1234 0.7069 0.8154
0.1055 0.6894 0.2140
0.6067 0.3230 0.2898
0.6995 0.8358 0.0082
0.4960 0.1795 0.4906
0.0028 0.8414 0.0132
0.4996 0.6751 0.2534
0.9958 0.3320 0.2497
0.5004 0.1566 0.0023
0.0110 0.7642 0.5153
0.5450 0.6525 0.7225
0.9867 0.3498 0.7299
```

~~~~~

# Eu3B2O6

Crystalline Eu3B2O6 at its relaxed geometry (GGA-PBE, Materials Project).

Results
Formation energy from the elements, eV/atom: -3.19

```
data_Eu3B2O6
_symmetry_space_group_name_H-M 'R -3 c'
_symmetry_Int_Tables_number 167
_symmetry_space_group_name_Hall '-R 3 2"c'
_cell_length_a 9.0576
_cell_length_b 9.0576
_cell_length_c 12.7585
_cell_angle_alpha 90.00
_cell_angle_beta 90.00
_cell_angle_gamma 120.00
loop_
_atom_site_label
_atom_site_type_symbol
_atom_site_fract_x
_atom_site_fract_y
_atom_site_fract_z
_atom_site_occupancy
Eu1 Eu 0.0000 0.3492 0.2500 1
B1 B 0.0000 0.0000 0.1158 1
O1 O 0.0063 0.1572 0.3858 1
```

~~~~~

Record 1
## Dy3Ga (GGA-PBE)

Data for crystalline Dy3Ga at its relaxed geometry.

abc: 4.7207 4.7207 4.7207
angles: 90.00 90.00 90.00
Atoms (fractional coordinates):
Dy: 0.0000 0.0000 0.5000
Dy: 0.0000 0.5000 0.0000
Dy: 0.5000 0.0000 0.0000
Ga: 0.5000 0.5000 0.5000

Calculated values
E_tot, eV/atom: -4.453

***

Record 2
## SrAcHg2 (GGA-PBE)

Data for crystalline SrAcHg2 at its relaxed geometry.

abc: 5.7041 5.7041 5.7041
angles: 60.00 60.00 60.00
Atoms (fractional coordinates):
Sr: 0.0000 0.0000 0.0000
Ac: 0.5000 0.5000 0.5000
Hg: 0.2500 0.2500 0.2500
Hg: 0.7500 0.7500 0.7500

Calculated values
E_tot, eV/atom: -2.132

***

Record 3
## DyBr3O6 (GGA-PBE)

Data for crystalline DyBr3O6 at its relaxed geometry.

abc: 5.9490 6.2765 11.1869
angles: 90.00 108.28 90.00
Atoms (fractional coordinates):
Dy: 0.0000 0.1859 0.2500
Dy: 0.0000 0.8141 0.7500
Br: 0.1892 0.2891 0.9511
Br: 0.1892 0.7109 0.4511
Br: 0.5000 0.4184 0.7500
Br: 0.5000 0.5816 0.2500
Br: 0.8108 0.2891 0.5489
Br: 0.8108 0.7109 0.0489
O: 0.0580 0.2128 0.0625
O: 0.0580 0.7872 0.5625
O: 0.2408 0.0728 0.8618
O: 0.2408 0.9272 0.3618
O: 0.3159 0.4205 0.3068
O: 0.3159 0.5795 0.8068
O: 0.6841 0.4205 0.1932
O: 0.6841 0.5795 0.6932
O: 0.7592 0.0728 0.6382
O: 0.7592 0.9272 0.1382
O: 0.9420 0.2128 0.4375
O: 0.9420 0.7872 0.9375

Calculated values
E_tot, eV/atom: -4.560

***

Record 4
## LiAlPHO5 (GGA-PBE)

Data for crystalline LiAlPHO5 at its relaxed geometry.

abc: 5.0926 5.2617 7.1130
angles: 106.75 109.22 97.91
Atoms (fractional coordinates):
........
Article 51: The Magisterium & Truth (pp ) Hierarchy of Truths Some truths are more fundamental and illuminating; all are interconnected E.g. the Trinity is the central mystery of Christian faith and connected to the Incarnation… Dogma are teachings that are recognized as central Dogmas clarifies what is doctrine (truths of salvation) Dogmas and doctrine do not involve intellect alone, but also morality/human action Assumption 1950 a.d. and Chalcedon 451 a.d.
Article 51: The Magisterium & Truth cont. (pp ) Truth and Relativism Truth is absolute or relative Relativism is when truth is seen as a perspective or subjective—truth is subjective but not relative Relativism denies absolute truth Relativism inherently contradicts itself To deny absolute truth makes all good and all evil subjective Truth and tolerance: relativism = false tolerance; personalism = true tolerance Origin in Original Sin God is truth itself How can we live this truth? Example of Friday abstinence and Paul VI
Article 51: The Magisterium & Truth cont. (pp ) The Galileo Controversy ◦1633 – The Roman Curia condemned Galileo for teaching as truth a heliocentric universe (vs. telocentric) ◦This appeared to contradict the scriptures ◦The Pope Urban VIII requested he state the teaching as a hypothesis; would not ◦Nicolaus Copernicus dedicated On the Revolution of the Celestial Orbs, (in which he gave an excellent account of heliocentricity), to Pope Paul III (Martin Luther condemned this theory) ◦The Pope never issued an infallible statement about the teaching ◦Confusion of revealed and scientific truth--JPII
Homework p.196; 3-6 Section 4, Part 3 Homework due tomorrow (p. 196; 1-6) Section 4, Part 3 Quiz tomorrow (pp ; AA )